# To do
Could you search the notes further below for the word "Te" and print each line that has it?

# File
____________
1.
This entry pairs a crystal structure of LiSbTe3O12 with its simulated powder XRD pattern. Radiation: Cu Kα. Structure: a cell relaxed with PBE.

Peak list (8 most intense, 2θ from 10° to 90°, low angle first)
- (0 1 1), 2θ = 19.87°, intensity 46
- (1 1 0), 2θ = 20.76°, intensity 100
- (1 2 -1), 2θ = 32.49°, intensity 32
- (1 2 1), 2θ = 32.65°, intensity 32
- (0 3 1), 2θ = 36.01°, intensity 19
- (1 1 -2), 2θ = 40.15°, intensity 14
- (1 1 2), 2θ = 40.41°, intensity 18
- (2 3 -1), 2θ = 51.93°, intensity 14

Structural model:
Cell: 4.952 8.503 5.254 Å, 90.00 90.47 90.00°
Atoms (fractional coordinates):
Li 0.000 0.000 0.000
Sb 0.500 0.100 0.500
Te 0.000 0.597 0.000
Te 0.000 0.782 0.500
Te 0.500 0.286 0.000
O 0.204 0.772 0.822
O 0.207 0.616 0.318
O 0.238 0.940 0.357
O 0.253 0.447 0.861
O 0.284 0.121 0.822
O 0.290 0.268 0.305
O 0.710 0.268 0.695
O 0.716 0.121 0.178
O 0.747 0.447 0.139
O 0.762 0.940 0.643
O 0.793 0.616 0.682
O 0.796 0.772 0.178

***

2.
This entry pairs a crystal structure of LiSbTe3O12 with its simulated powder XRD pattern. Radiation: Cu Kα. Structure: a cell relaxed with PBE.

Peak list (8 most intense, 2θ from 10° to 90°, low angle first)
- (1 1 0), 2θ = 24.11°, intensity 100
- (0 2 0), 2θ = 33.63°, intensity 35
- (1 1 -2), 2θ = 35.07°, intensity 23
- (2 0 2), 2θ = 42.99°, intensity 10
- (2 2 0), 2θ = 49.38°, intensity 16
- (2 2 2), 2θ = 54.64°, intensity 13
- (-2 2 2), 2θ = 54.73°, intensity 13
- (3 1 0), 2θ = 56.64°, intensity 14

Structural model:
Cell: 5.118 5.335 7.401 Å, 86.59 89.85 89.99°
Atoms (fractional coordinates):
Li 0.000 0.000 0.000
Sb 0.498 0.921 0.217
Te 0.496 0.918 0.708
Te 0.997 0.424 0.706
Te 0.999 0.425 0.213
O 0.122 0.404 0.956
O 0.167 0.102 0.259
O 0.180 0.736 0.642
O 0.309 0.233 0.640
O 0.313 0.596 0.273
O 0.369 0.916 0.955
O 0.631 0.920 0.468
O 0.686 0.606 0.778
O 0.700 0.230 0.139
O 0.812 0.105 0.775
O 0.818 0.733 0.143
O 0.860 0.419 0.461

***

3.
This entry pairs a crystal structure of LiSbTe3O12 with its simulated powder XRD pattern. Radiation: Cu Kα. Structure: a cell relaxed with PBE.

Peak list (8 most intense, 2θ from 10° to 90°, low angle first)
- (0 1 1), 2θ = 19.88°, intensity 47
- (1 1 0), 2θ = 20.87°, intensity 100
- (1 2 -1), 2θ = 32.51°, intensity 34
- (1 2 1), 2θ = 32.71°, intensity 32
- (0 3 1), 2θ = 35.85°, intensity 20
- (1 1 -2), 2θ = 40.30°, intensity 17
- (1 1 2), 2θ = 40.59°, intensity 16
- (2 3 -1), 2θ = 52.06°, intensity 14

Structural model:
Cell: 4.907 8.556 5.237 Å, 90.00 90.56 90.00°
Atoms (fractional coordinates):
Li 0.000 0.000 0.000
Sb 0.000 0.384 0.000
Te 0.000 0.205 0.500
Te 0.500 0.691 0.000
Te 0.500 0.884 0.500
O 0.203 0.201 0.818
O 0.217 0.362 0.323
O 0.242 0.035 0.357
O 0.253 0.542 0.856
O 0.287 0.863 0.817
O 0.288 0.720 0.313
O 0.712 0.720 0.687
O 0.713 0.863 0.183
O 0.747 0.542 0.144
O 0.758 0.035 0.643
O 0.783 0.362 0.677
O 0.797 0.201 0.182

***

4.
This entry pairs a crystal structure of LiSbTe3O12 with its simulated powder XRD pattern. Radiation: Cu Kα. Structure: a cell relaxed with PBE.

Peak list (8 most intense, 2θ from 10° to 90°, low angle first)
- (1 1 0), 2θ = 24.08°, intensity 100
- (-1 1 2), 2θ = 33.58°, intensity 35
- (1 1 -2), 2θ = 35.02°, intensity 23
- (2 0 2), 2θ = 42.95°, intensity 15
- (2 2 0), 2θ = 49.31°, intensity 16
- (-2 2 2), 2θ = 54.61°, intensity 25
- (2 2 -2), 2θ = 56.55°, intensity 11
- (2 0 4), 2θ = 61.88°, intensity 9

Structural model:
Cell: 5.118 5.350 7.409 Å, 86.70 90.00 89.97°
Atoms (fractional coordinates):
Li 0.000 0.000 0.000
Sb 0.997 0.566 0.778
Te 0.497 0.070 0.778
Te 0.500 0.067 0.287
Te 0.999 0.562 0.287
O 0.132 0.567 0.527
O 0.187 0.251 0.850
O 0.188 0.880 0.219
O 0.305 0.772 0.853
O 0.307 0.372 0.214
O 0.365 0.064 0.531
O 0.628 0.074 0.036
O 0.670 0.385 0.721
O 0.687 0.755 0.353
O 0.814 0.249 0.349
O 0.819 0.898 0.735
O 0.879 0.586 0.040

***

5.
This entry pairs a crystal structure of Li2Ti2Sb2O with its simulated powder XRD pattern. Radiation: Cu Kα. Structure: a cell relaxed with PBE.
____________

# Done
Te 0.000 0.597 0.000
Te 0.000 0.782 0.500
Te 0.500 0.286 0.000
Te 0.496 0.918 0.708
Te 0.997 0.424 0.706
Te 0.999 0.425 0.213
Te 0.000 0.205 0.500
Te 0.500 0.691 0.000
Te 0.500 0.884 0.500
Te 0.497 0.070 0.778
Te 0.500 0.067 0.287
Te 0.999 0.562 0.287